Job =
Find the line underneath that holds "[1]", then reproduce that line and all lines after it there, please.
Entries =
........
[1]
{"formula": "C6H14NO", "method": "the ωB97M-V functional and the def2-TZVPD basis", "elements": ["C", "C", "C", "N", "C", "C", "C", "O", "H", "H", "H", "H", "H", "H", "H", "H", "H", "H", "H", "H", "H", "H"], "positions_angstrom": [[-0.681, -1.380, -0.005], [-0.842, -1.184, 1.474], [0.464, -0.386, -0.580], [1.800, -1.042, -0.241], [3.048, 0.908, 0.403], [2.242, 0.136, -0.578], [-2.773, 1.222, -0.706], [-3.243, -0.029, -0.477], [-0.355, -2.432, -0.251], [-1.560, -1.014, -0.585], [-0.152, -1.719, 2.132], [-1.857, -1.461, 1.775], [-0.976, -0.034, 1.456], [0.128, 0.679, -0.329], [0.258, -0.507, -1.680], [-2.822, 1.914, 0.176], [3.316, 1.955, 0.083], [3.853, 0.345, 0.783], [2.417, 1.059, 1.295], [2.484, 0.390, -1.599], [-1.711, 1.043, -0.805], [-3.037, 1.536, -1.742]], "mulliken_charge": [-0.3023, -1.0320, -0.5290, -0.6814, -1.2420, 0.2138, -0.2605, -0.8620, 0.3403, 0.3453, 0.3192, 0.3661, 0.1714, 0.2671, 0.2315, 0.1676, 0.3142, 0.3582, 0.3115, 0.4630, -0.2297, 0.2699], "homo_lumo_gap_ha": 0.207, "homo_ev": -2.1, "relative_energy_kcal_mol": 126.9, "spin_multiplicity": 1, "e_tot_ha": -366.79938, "total_charge": -1}

[2]
{"formula": "C6H14NO", "method": "the ωB97M-V functional and the def2-TZVPD basis", "elements": ["C", "C", "C", "N", "C", "C", "C", "O", "H", "H", "H", "H", "H", "H", "H", "H", "H", "H", "H", "H", "H", "H"], "positions_angstrom": [[0.201, -0.139, 1.472], [-0.168, -1.629, 1.535], [0.913, 0.152, 0.093], [1.996, -0.828, -0.322], [1.505, -0.707, -2.847], [2.077, -0.215, -1.545], [-3.356, 1.737, 0.430], [-2.295, 1.469, 1.202], [0.878, 0.140, 2.289], [-0.719, 0.485, 1.463], [-1.209, -1.780, 1.209], [0.378, -2.147, 0.737], [-0.025, -2.102, 2.510], [0.047, 0.148, -0.567], [1.224, 1.211, 0.168], [-3.661, 0.912, -0.282], [2.012, -0.443, -3.771], [1.454, -1.806, -2.834], [0.436, -0.434, -2.784], [2.676, 0.719, -1.631], [-3.172, 2.630, -0.228], [-4.367, 1.903, 0.924]], "mulliken_charge": [-0.2840, -1.1303, -0.4095, -0.8497, -1.0295, -0.2201, -0.7695, -0.8086, 0.4112, 0.1487, 0.2642, 0.3541, 0.2662, 0.0725, 0.2369, 0.1759, 0.3704, 0.2500, 0.1549, 0.4431, 0.1775, 0.1757], "homo_lumo_gap_ha": [0.166, 0.205], "homo_ev": [2.4, 1.3], "relative_energy_kcal_mol": 67.6, "spin_multiplicity": 2, "e_tot_ha": -366.73797, "total_charge": -2}

[3]
{"formula": "C6H14NO", "method": "the ωB97M-V functional and the def2-TZVPD basis", "elements": ["C", "N", "C", "C", "C", "C", "C", "O", "H", "H", "H", "H", "H", "H", "H", "H", "H", "H", "H", "H", "H", "H"], "positions_angstrom": [[3.045, -0.227, -1.423], [1.857, -0.314, -2.042], [-0.310, -0.531, 0.981], [-1.104, 0.534, 0.211], [-1.273, 0.023, -1.278], [-0.389, 1.837, 0.312], [-1.170, -1.543, 1.737], [-1.971, -0.885, 2.616], [3.499, -1.027, -0.845], [3.843, 0.470, -1.708], [2.153, 0.514, -0.412], [0.392, -0.175, 1.780], [0.335, -1.058, 0.266], [-2.128, 0.489, 0.631], [-1.734, -0.967, -1.240], [-0.297, -0.039, -1.744], [-1.974, 0.708, -1.812], [0.709, 1.775, 0.228], [-0.615, 2.421, 1.253], [-0.579, 2.429, -0.615], [-0.513, -2.329, 2.167], [-1.775, -2.106, 0.937]], "mulliken_charge": [-0.3425, -0.3447, -0.7196, 0.8186, -1.3689, -1.3030, -0.4880, -0.3548, 0.2700, 0.3084, 0.0304, 0.3509, 0.2870, 0.2936, 0.3645, 0.3356, 0.3990, 0.2090, 0.3115, 0.3509, 0.3862, 0.2059], "homo_lumo_gap_ha": [0.269, 0.365], "homo_ev": [-8.7, -10.4], "relative_energy_kcal_mol": 132.5, "spin_multiplicity": 2, "e_tot_ha": -366.71872}


DFT (wB97M-V/def2-TZVPD) results for a structure of composition C6H13BrN at a distorted geometry.

```
21
Properties=species:S:1:pos:R:3:forces:R:3
C 0.9199 -1.9657 1.2951 -0.535 0.650 -1.896
C -0.1345 -1.6211 0.4757 2.440 0.933 2.463
C -0.6986 -2.4091 -0.5855 0.300 -3.596 1.149
C -0.5500 2.2273 0.5632 -0.077 -0.257 4.142
C 1.0978 0.9458 -0.6844 -0.371 0.727 0.845
C -0.7111 -0.3025 0.7871 1.279 1.363 3.866
N -0.3165 0.8634 -0.1626 -1.976 2.559 -0.188
Br -2.7482 -0.3374 0.8975 1.892 0.253 -0.045
H 1.4078 -1.2760 2.0069 -0.825 -0.397 -0.153
H 1.5288 -2.8372 1.0952 -0.304 -0.329 0.000
........
Reply =
[1]
{"formula": "C6H14NO", "method": "the ωB97M-V functional and the def2-TZVPD basis", "elements": ["C", "C", "C", "N", "C", "C", "C", "O", "H", "H", "H", "H", "H", "H", "H", "H", "H", "H", "H", "H", "H", "H"], "positions_angstrom": [[-0.681, -1.380, -0.005], [-0.842, -1.184, 1.474], [0.464, -0.386, -0.580], [1.800, -1.042, -0.241], [3.048, 0.908, 0.403], [2.242, 0.136, -0.578], [-2.773, 1.222, -0.706], [-3.243, -0.029, -0.477], [-0.355, -2.432, -0.251], [-1.560, -1.014, -0.585], [-0.152, -1.719, 2.132], [-1.857, -1.461, 1.775], [-0.976, -0.034, 1.456], [0.128, 0.679, -0.329], [0.258, -0.507, -1.680], [-2.822, 1.914, 0.176], [3.316, 1.955, 0.083], [3.853, 0.345, 0.783], [2.417, 1.059, 1.295], [2.484, 0.390, -1.599], [-1.711, 1.043, -0.805], [-3.037, 1.536, -1.742]], "mulliken_charge": [-0.3023, -1.0320, -0.5290, -0.6814, -1.2420, 0.2138, -0.2605, -0.8620, 0.3403, 0.3453, 0.3192, 0.3661, 0.1714, 0.2671, 0.2315, 0.1676, 0.3142, 0.3582, 0.3115, 0.4630, -0.2297, 0.2699], "homo_lumo_gap_ha": 0.207, "homo_ev": -2.1, "relative_energy_kcal_mol": 126.9, "spin_multiplicity": 1, "e_tot_ha": -366.79938, "total_charge": -1}

[2]
{"formula": "C6H14NO", "method": "the ωB97M-V functional and the def2-TZVPD basis", "elements": ["C", "C", "C", "N", "C", "C", "C", "O", "H", "H", "H", "H", "H", "H", "H", "H", "H", "H", "H", "H", "H", "H"], "positions_angstrom": [[0.201, -0.139, 1.472], [-0.168, -1.629, 1.535], [0.913, 0.152, 0.093], [1.996, -0.828, -0.322], [1.505, -0.707, -2.847], [2.077, -0.215, -1.545], [-3.356, 1.737, 0.430], [-2.295, 1.469, 1.202], [0.878, 0.140, 2.289], [-0.719, 0.485, 1.463], [-1.209, -1.780, 1.209], [0.378, -2.147, 0.737], [-0.025, -2.102, 2.510], [0.047, 0.148, -0.567], [1.224, 1.211, 0.168], [-3.661, 0.912, -0.282], [2.012, -0.443, -3.771], [1.454, -1.806, -2.834], [0.436, -0.434, -2.784], [2.676, 0.719, -1.631], [-3.172, 2.630, -0.228], [-4.367, 1.903, 0.924]], "mulliken_charge": [-0.2840, -1.1303, -0.4095, -0.8497, -1.0295, -0.2201, -0.7695, -0.8086, 0.4112, 0.1487, 0.2642, 0.3541, 0.2662, 0.0725, 0.2369, 0.1759, 0.3704, 0.2500, 0.1549, 0.4431, 0.1775, 0.1757], "homo_lumo_gap_ha": [0.166, 0.205], "homo_ev": [2.4, 1.3], "relative_energy_kcal_mol": 67.6, "spin_multiplicity": 2, "e_tot_ha": -366.73797, "total_charge": -2}

[3]
{"formula": "C6H14NO", "method": "the ωB97M-V functional and the def2-TZVPD basis", "elements": ["C", "N", "C", "C", "C", "C", "C", "O", "H", "H", "H", "H", "H", "H", "H", "H", "H", "H", "H", "H", "H", "H"], "positions_angstrom": [[3.045, -0.227, -1.423], [1.857, -0.314, -2.042], [-0.310, -0.531, 0.981], [-1.104, 0.534, 0.211], [-1.273, 0.023, -1.278], [-0.389, 1.837, 0.312], [-1.170, -1.543, 1.737], [-1.971, -0.885, 2.616], [3.499, -1.027, -0.845], [3.843, 0.470, -1.708], [2.153, 0.514, -0.412], [0.392, -0.175, 1.780], [0.335, -1.058, 0.266], [-2.128, 0.489, 0.631], [-1.734, -0.967, -1.240], [-0.297, -0.039, -1.744], [-1.974, 0.708, -1.812], [0.709, 1.775, 0.228], [-0.615, 2.421, 1.253], [-0.579, 2.429, -0.615], [-0.513, -2.329, 2.167], [-1.775, -2.106, 0.937]], "mulliken_charge": [-0.3425, -0.3447, -0.7196, 0.8186, -1.3689, -1.3030, -0.4880, -0.3548, 0.2700, 0.3084, 0.0304, 0.3509, 0.2870, 0.2936, 0.3645, 0.3356, 0.3990, 0.2090, 0.3115, 0.3509, 0.3862, 0.2059], "homo_lumo_gap_ha": [0.269, 0.365], "homo_ev": [-8.7, -10.4], "relative_energy_kcal_mol": 132.5, "spin_multiplicity": 2, "e_tot_ha": -366.71872}


DFT (wB97M-V/def2-TZVPD) results for a structure of composition C6H13BrN at a distorted geometry.

```
21
Properties=species:S:1:pos:R:3:forces:R:3
C 0.9199 -1.9657 1.2951 -0.535 0.650 -1.896
C -0.1345 -1.6211 0.4757 2.440 0.933 2.463
C -0.6986 -2.4091 -0.5855 0.300 -3.596 1.149
C -0.5500 2.2273 0.5632 -0.077 -0.257 4.142
C 1.0978 0.9458 -0.6844 -0.371 0.727 0.845
C -0.7111 -0.3025 0.7871 1.279 1.363 3.866
N -0.3165 0.8634 -0.1626 -1.976 2.559 -0.188
Br -2.7482 -0.3374 0.8975 1.892 0.253 -0.045
H 1.4078 -1.2760 2.0069 -0.825 -0.397 -0.153
H 1.5288 -2.8372 1.0952 -0.304 -0.329 0.000